2010年1月26日 星期二



-- Calculated molecules from another source follow --
********
C30H47GeNO4S2Si4Ti | the ωB97M-V functional and the def2-TZVPD basis

Values from the calculation:
ΔE to the lowest compared entry with this formula, charge and spin (eV): 0.000
Max |F| (eV Å⁻¹): 3.19
HOMO (alpha / beta) (eV): 0.00 / -1.90
Calculated total energy (Eh): -6408.05995

Structure (ORCA input):
```
! RIJCOSX wB97M-V def2-TZVPD def2/J DEFGRID3
* xyz -2 3
Ge -12.22647 -8.60408 -15.28284
H -8.70913 -7.30832 -7.80619
C -9.78194 -8.53114 -17.76974
C -16.39640 -9.08136 -11.89740
C -11.69560 -13.61524 -12.71141
H -10.49237 -11.66584 -16.96660
C -13.11926 -6.28761 -17.70750
C -9.98925 -8.14262 -9.34954
C -19.00567 -9.77901 -11.01206
H -8.68452 -13.02074 -12.52439
C -18.71477 -8.44762 -11.48049
H -19.46686 -7.68456 -11.45761
S -15.27845 -11.32428 -11.52811
C -10.12093 -11.13267 -16.08519
H -10.23696 -7.89299 -5.95113
O -14.96290 -11.78122 -10.23418
O -15.38774 -12.34912 -12.53811
H -8.45059 -11.29836 -12.20146
H -8.73910 -8.71178 -18.02077
H -11.33330 -4.29222 -15.65564
C -15.00185 -9.05105 -12.23187
H -10.64323 -11.48600 -15.18650
C -13.94032 -11.62298 -15.35953
C -13.66558 -10.24878 -17.99562
H -11.22238 -14.50158 -12.28208
H -15.64250 -8.84501 -14.75166
N -14.29357 -10.18578 -11.94795
C -9.64045 -7.85244 -8.01928
H -10.42371 -13.13497 -9.90349
H -20.01387 -10.02030 -10.70534
H -14.03247 -4.60438 -15.12863
H -14.62741 -11.66704 -14.52594
H -12.92624 -11.89761 -15.03803
C -13.43144 -9.58842 -8.70331
H -14.77519 -6.24809 -14.84251
C -11.70065 -8.87361 -7.22262
Si -10.14371 -9.29482 -16.08529
H -12.70932 -13.71007 -12.25847
Ti -12.46002 -9.16385 -12.63942
H -13.26916 -9.38375 -18.48855
H -10.71973 -5.45250 -14.41296
H -10.08615 -5.54609 -16.04076
H -15.17389 -10.40504 -7.79891
C -11.00698 -5.31407 -15.49534
C -12.52173 -9.21952 -6.13036
H -9.92951 -7.44989 -17.69328
H -11.76246 -13.72627 -13.76844
H -7.79640 -9.51010 -15.26168
H -9.30348 -7.85050 -10.10606
C -13.77727 -9.68905 -6.32151
H -14.06066 -6.83917 -17.68003
Si -10.84942 -12.08643 -12.11907
C -10.46076 -8.18158 -6.99634
S -10.78344 -7.51346 -12.20408
C -11.29660 -8.56805 -9.66500
Si -12.52384 -6.40061 -15.93140
C -8.65619 -8.86824 -14.98726
H -16.49215 -9.67675 -16.06236
H -9.10548 -11.51488 -15.91035
H -12.08136 -9.14529 -5.10631
Si -13.98363 -9.91896 -16.17080
H -13.50152 -5.59230 -13.78939
O -11.75249 -10.86664 -12.78303
C -16.71993 -10.36341 -11.44144
C -10.85892 -12.17342 -10.28362
H -10.31963 -11.31005 -9.80794
C -17.96952 -10.70649 -11.01782
H -11.90069 -12.12066 -9.98361
H -8.29442 -7.84175 -15.05304
C -11.67697 -8.33641 -10.96892
H -14.56558 -10.51919 -18.50848
H -14.25525 -12.32996 -16.12543
H -8.87266 -9.04290 -13.93607
H -12.97297 -11.10033 -18.19487
H -12.57366 -6.90309 -18.47234
H -14.41370 -10.03863 -5.50189
H -18.15349 -11.70716 -10.68874
H -13.86026 -9.72941 -9.67569
C -14.25292 -9.87848 -7.62454
C -9.12280 -12.01247 -12.72289
C -15.62487 -9.06581 -15.82260
O -14.28294 -8.09119 -12.71643
H -15.70944 -8.12477 -16.36308
H -10.38057 -8.83936 -18.62277
********
-- Back to the page --




11 則留言:

  1. 沒甚麼關係,我一見到英文文法就沒興趣學下去。

  2. Not interested in grammar does not mean that we do not need to learn grammar. If you dunno the rules, how can you play the game?

  3. Learning a foreign language is never easy. HK with its unique history is already leading in English compared to most Asian countries. Japanese is known to be hard working but their English is not that great either maybe below HK. We can't really compare which generation is better. Each generation is unique and will have both good and bad. English was important to us because we lived in a British colony. As the global economy expand, English may not be so important any more. People will be doing business in their local language.  A lot of American is learning Chinese now because the opportunity is in China.

  4. "English was important to us because we lived in a British colony."  If any written words could be poison, these are it, for HK youngsters.
    Most people in continental Europe were never colonized by the Brits, yet they speak and write English well, because they have known for generations, that English is the language of science and literature, or, in other words, just plain knowledge.  The sooner we get out of this post-colonial nonsense and get real, the better.  We should also avoid reading too much into a handful of trendy and adventurous Americans learning Chinese.  They know English already.

  5. After World War II, Western Europe is under US influence. And Eastern European also know Russian as well. A lot of scientific writings are in German and French tool. Having knowledge is great but we shouldn't project ourself onto other. People should determine what is the best for themselves.

  6. Historically, the Europeans were quite proficient in English well before WWII, or even WWI, for that matter.  As for the Eastern Europeans knowing Russian, a more accurate description is that they "studied" Russian, because they were force to.  They hated it so much that they stopped the minute the Berlin Wall came down.  But , who cares about those minor tidbits of history.
    I agree with, and fully support 堅 on, self-determination for individuals.   The more HK teenagers "self-determine" themselves into believing that they don't need English in these post-colonial times, the more will return in 10-15 years, paying people like me very, very well to teach them what they should have learned in primary school, for free.

  7. 栗子姑娘:乏言英語水平低,故不敢獻醜以英語回應,請諒。與其說「港生英語水平每況愈下」,不如直言「「港生英語水平每況愈下」,乏言以為這歸咎於訂定課程、考試範圍者的失誤,這與英文的重要性無關,如果是的話,那麼,現今學子的中文應該有很大的進步,但現實卻非如此。
    英語大都不是我們的第一語言,而在香港此地,雖然由英國管治了 152 年,英國文化不深,沒太多少人去欣賞英式下午茶,所以不能從文化中學英語,而是從英語體驗交化, 故此實有必要好好地去學習文法,文法井然正是必要的條件。
    當然 Sir Humpfrey Appleby 在 Yes Minister 中所說的英語大都合乎文法上的要求,卻又未見得是好的英文。
    英語已具世界工具語言的地位,請不要說中國十多億人、拉丁美洲是葡語、西語天下,斯拉夫民族地區英語不行等等。請問,全世界的飛行員那個不會英語而能駕民航機飛外國。大量的電腦、科技等名詞也用上英語。這是人家英美在這些年裡對人類進步貢獻而漸漸將其語言成為主流。這可與殖民地沒多大關係吧。英國統治印度百多年(約 1858 年),而香港開埠於 1842 年,印度 1947 年獨立,香港 1997 年回歸,為什麼人家的英語比我們好?事實上印度的軟件工程師就是英語比我們好而穩佔市場(連 PCCW 也用上印度軟件)。雖說科研成就也有德國、法國人份兒?試想會英語的俄德法科學家多,還是會俄德法語的英美科學家多?讓事實來證明,乏言不相信由學子去 determine what is best for themselves.

  8. 回應第三行千應是「港生的語文水平每況愈下」,抱歉。

  9. For all of us, we are part of the industrial revolution which began in the UK and it brought changes all over the world. If we step out of this frame of reference for a second, there are many great civilizations before it and there will be many more to come. No one know where the new break through will come from.  US has been leading in new technologies because it is able to attracted talents and have the freedom to express and create both physically and mentally. But now most scholars and CEOs in the US are worried before of the failing education system and the number of educated people in India and China. In this new paradigm, new ideas can come from anywhere.  A lot of jobs had been out sourced from the US to other part of the world. Partly because of the cost and time different.  Most medical transcription are done in India now. They are done by the next day when you come to work. Global economy  is real. But it will take time for us to understand and get use to it. Change is the only constant.

  10. I know where the next breakthrough will come from.   It will be from a society where free thinking is the norm, so we could rule out Cuba, China, and North Korea.   It will be from an economy where one is allowed to keep most of the fruits of his labor, so we can rule out the northern European socialist economies.  
    The failing education system in the US is at the primary and secondary levels only.   The US university   post-graduation education and research are still producing the best in the world.   All those jobs out-sourced from the US, be it customer service hotlines, or medical transcription, are still done in English, so 堅 , please tell me on a double when they’re all done in Chinese or Hindu, and I’ll be the first one to join you in worrying about the declining importance of English.  

Data records that have nothing to do with the piece:
- - -
{"formula": "H3N2O2S2", "method": "the ωB97M-V functional and the def2-TZVPD basis", "elements": ["N", "N", "O", "O", "S", "S", "H", "H", "H"], "coordinates": [[1.635335, -0.068635, 0.028699], [0.710688, 0.608561, 0.826003], [-1.456327, -1.473553, 0.636119], [-0.716103, -0.399857, -1.444506], [-2.577352, 1.157297, 0.137360], [-1.194064, -0.228536, -0.066488], [1.673807, -1.025083, 0.378176], [1.305994, -0.120087, -0.942161], [0.618022, 1.549894, 0.446802]], "atomic_forces_ev_per_a": [[-1.0, 0.1, 0.6], [4.1, 0.8, 1.2], [-0.3, -1.1, 0.3], [0.1, -0.2, -1.0], [-0.7, 0.5, -0.1], [-2.3, -0.6, -0.7], [0.0, 0.2, -0.1], [0.3, 0.2, 0.1], [-0.1, 0.0, -0.4]], "total_energy_ha": -1058.0822, "multiplicity": 3, "orbital_gap_ev": [5.4636, 6.4803], "total_charge": -1, "molar_mass_g_mol": 127.17, "lumo_energy_ev": [3.8, 2.3], "homo_energy_ev": [-1.66, -4.16]}

=====

[1]
C20H50N2O4Si2V | wB97M-V/def2-TZVPD

Computed properties:
Lowest unoccupied orbital energy (alpha / beta): 0.247 / -0.032 eV
Calculated total energy: -74159.5878 eV
ΔE to the lowest compared entry with this formula, charge and spin: 0.0 kJ/mol
Orbital gap (alpha / beta): 7.1 / 7.1 eV

ORCA input file:
```
! RIJCOSX wB97M-V def2-TZVPD def2/J DEFGRID3
* xyz 0 4
O 1.794 -0.859 -0.977
O -1.102 -0.967 -3.731
C 2.464 0.243 -1.710
C 3.957 0.272 -1.457
H 1.970 1.165 -1.369
H 2.227 0.138 -2.780
H 4.195 0.483 -0.409
H 4.395 1.100 -2.024
H 4.432 -0.662 -1.777
C 1.786 -2.114 -1.667
C 2.083 -2.073 -3.145
H 0.780 -2.513 -1.513
H 2.499 -2.759 -1.129
H 1.282 -1.555 -3.685
H 2.092 -3.102 -3.526
H 3.047 -1.606 -3.357
C -2.057 -1.709 -3.007
C -1.528 0.239 -4.339
C -1.676 -3.176 -3.135
H -3.057 -1.552 -3.438
H -2.092 -1.435 -1.936
H -1.718 -3.476 -4.196
H -2.377 -3.792 -2.558
H -0.652 -3.384 -2.783
C -1.256 0.133 -5.835
H -0.949 1.084 -3.918
H -2.606 0.424 -4.159
H -0.218 -0.135 -6.038
H -1.470 1.092 -6.294
H -1.899 -0.634 -6.272
H -0.006 3.126 0.444
V 0.839 0.158 1.228
C -0.547 2.400 -0.163
Si -2.263 3.089 -0.378
H -0.085 2.142 -1.135
H -0.801 1.475 0.484
C -2.299 4.342 -1.776
C -2.316 3.750 1.395
C -3.465 1.635 -0.462
C 2.501 -0.728 2.013
Si 1.763 -2.406 2.339
H 2.704 0.003 2.838
H 3.158 -0.475 1.138
C 3.056 -3.623 1.717
C 0.128 -2.915 1.536
C 1.478 -2.540 4.189
H -3.306 0.995 -1.341
H -4.516 1.985 -0.487
H -3.333 0.987 0.423
H -1.351 4.898 -1.797
H -3.122 5.059 -1.638
H -2.427 3.894 -2.770
H -1.299 3.925 1.773
H -2.755 3.005 2.069
H -2.864 4.698 1.493
H 0.157 -2.839 0.439
H -0.775 -2.375 1.876
H -0.044 -3.974 1.798
H 1.128 -3.540 4.472
H 0.724 -1.824 4.546
H 2.406 -2.348 4.747
H 3.031 -4.571 2.264
H 4.057 -3.193 1.854
H 2.942 -3.860 0.653
C 0.211 2.537 4.739
C 0.146 1.529 3.648
N 0.939 1.605 2.576
O 1.459 2.957 2.469
C -0.850 0.557 3.504
C -1.968 0.300 4.453
N -0.827 -0.086 2.283
O -1.964 -0.537 1.796
H 1.244 2.706 5.076
H -0.363 2.141 5.591
H -0.227 3.494 4.431
H 2.143 2.917 1.761
H -2.936 0.407 3.940
H -1.899 -0.746 4.800
H -1.954 0.995 5.312
*
```

Löwdin atomic charge list, values in e, 2 entries:
1 O -0.23
- - -

  11. We unconsciously use grammar all the time when we use Chinese language for speaking, listening, reading and writing, but if we want to improve our writing ability, then we have to master the Chinese grammar.   This is also true to English language, as far as I know, students in the UK do not study English grammar in schools, but they are living in an English speaking environment and use the language each day.    
    For some HK Students who cannot wrtite correct English, I think this is nor fair to blame the students or the education system alone, bearing in mind that teachers are the key figures in the English learning process, the lack of good English teachers and learning enviroment also contribute to the performance of a student.   For many English learners, English grammar can be quite boring and difficult to learn, I always fell asleep during English class and hence my English is bad.   Thoughout the histroy of English things have changed and often dramatically, I hope there will be a greater simplification of the English grammar.
